What Really Is the Threat in Cybersecurity?A Closer Look

July 6th, 2023, 10:00 am PT / Category: Interviews

Who is behind the security breaches we read about, what are the motives, and what does this look like? Why do breaches keep happening and what can companies do about it?

Summary of the video

Bryson Bort, CEO of Scythe, shared insights into cybersecurity threats and solutions. He explained that the cybersecurity landscape has evolved significantly in the past decade and emphasized the importance of understanding the three phases of an attack: reconnaissance, initial access, and post-access actions.

Reconnaissance: This is the phase where attackers study their target, much like a thief scouting a neighborhood. They gather information about potential weaknesses, patterns of activity, and points of entry. Hackers use this information to plan their attack strategy.

Initial Access: In this phase, attackers breach the target’s defenses. Despite the investment in security, businesses cannot fully prevent hackers from getting in. The primary method used by hackers is often phishing or social engineering, taking advantage of human vulnerabilities. Even sophisticated attackers often exploit the weakest link.

Post-Access Actions: Once inside the network, hackers aim to blend in and mimic legitimate activity. They might use stolen credentials or access points to move laterally through the network. This is where most of the innovation lies in the hacking world, and attackers have a consistent set of behaviors they use to navigate within the network.

Bryson introduced a concept called the “BAM Model,” which simplifies the attack lifecycle into these three phases and highlighted the importance of focusing on the third phase, post-access actions, as this is where businesses can effectively mitigate threats.

Next to the entry, the page also holds crystal structures:
********
Entry 1:
This record from Alexandria describes a relaxed Pr12Nd6Ho crystal. The functional is GGA-PBE.

Cell lengths 12.3960, 12.3960, 15.4948 Å; angles 90.00, 90.00, 120.00 degrees
Closest atoms and distances in Å follow each position.
Space group R-3 (No. 148, hexagonal axes)
Unique sites:
Pr (0.0013, 0.8292, 0.1897) [18 per cell]  4 Pr 3.55-3.72, 4 Nd 3.61-3.80, 1 Ho 3.63
Pr (0.0484, 0.8509, 0.4165) [18 per cell]  4 Pr 3.40-3.72, 3 Nd 3.47-3.54
Nd (0.0144, 0.4244, 0.6860) [18 per cell]  7 Pr 3.47-3.80, 1 Ho 3.59, 2 Nd 3.62
Ho (0.0000, 0.0000, 0.0000) [3 per cell]  6 Nd 3.59, 6 Pr 3.63

As for the energy above the most stable polymorph in this dataset: 0 meV/atom. For the formation energy, the calculation gives 0.12 eV per atom. Its density is 6.6 g/cm3.



Entry 2:
This record from Alexandria describes a relaxed Pr2Nd8Ho3 crystal. The functional is GGA-PBE.

Cell lengths 13.5003, 11.8660, 6.1781 Å; angles 90.00, 113.95, 90.00 degrees
Closest atoms and distances in Å follow each position.
Space group C2/m (No. 12)
Unique sites:
Pr (0.1900, 0.0000, 0.3431) [4 per cell]  6 Nd 3.27-3.49
Nd (0.0846, 0.0000, 0.7644) [4 per cell]  4 Nd 3.14-3.49, 3 Pr 3.27-3.49
Nd (0.1381, 0.5000, 0.1020) [4 per cell]  1 Pr 3.27, 2 Nd 3.42-3.49, 4 Ho 3.42-3.64
Nd (0.1627, 0.2608, 0.6589) [8 per cell]  2 Nd 3.42-3.64, 2 Pr 3.47-3.76, 3 Ho 3.48-3.77
Ho (0.0000, 0.2363, 0.0000) [4 per cell]  8 Nd 3.56-3.77, 2 Pr 3.81
Ho (0.0000, 0.5000, 0.5000) [2 per cell]  8 Nd 3.42-3.64

As for the energy above the most stable polymorph in this dataset: 0 meV/atom. For the formation energy, the calculation gives 0.16 eV per atom. Its density is 7.1 g/cm3.



Entry 3:
This record from Alexandria describes a relaxed Pr2NdHo5 crystal. The functional is GGA-PBE.

Cell lengths 16.3669, 9.9593, 6.5342 Å; angles 90.00, 97.90, 90.00 degrees
Closest atoms and distances in Å follow each position.
Space group C2/c (No. 15)
Unique sites:
Pr (0.0772, 0.2469, 0.1133) [8 per cell]  1 Nd 3.02, 2 Ho 3.19-3.35, 1 Pr 3.29
Nd (0.2500, 0.2500, 0.0000) [4 per cell]  2 Pr 3.02
Ho (0.0000, 0.4413, 0.7500) [4 per cell]  4 Pr 3.19-3.51, 2 Ho 3.47
Ho (0.0994, 0.0876, 0.6446) [8 per cell]  3 Pr 3.35-3.52, 1 Nd 3.54, 5 Ho 3.66-3.72
Ho (0.1965, 0.4101, 0.5238) [8 per cell]  1 Pr 3.49, 2 Nd 3.50-3.51, 7 Ho 3.66-3.76

As for the energy above the most stable polymorph in this dataset: 155 meV/atom. For the formation energy, the calculation gives 0.18 eV per atom. Its density is 7.9 g/cm3.



Entry 4:
This record from Alexandria describes a relaxed Pr4Nd5Ho3 crystal. The functional is GGA-PBE.

Cell lengths 16.4984, 6.0384, 9.5091 Å; angles 90.00, 116.60, 90.00 degrees
Closest atoms and distances in Å follow each position.
Space group C2/m (No. 12)
Unique sites:
Pr (0.0831, 0.0000, 0.4422) [4 per cell]  2 Pr 3.38-3.73, 3 Nd 3.49-3.62, 1 Ho 3.50
Pr (0.2186, 0.0000, 0.8787) [4 per cell]  3 Ho 3.40-3.56, 3 Pr 3.66-3.73, 3 Nd 3.72-3.75
Nd (0.0000, 0.0000, 0.0000) [2 per cell]  4 Ho 3.02-3.15
********
So much for the crystal structures:

He discussed how Scythe is working to address cybersecurity challenges by providing a platform that automates and integrates threat intelligence. The platform enables businesses to replicate the behaviors of attackers in a controlled environment, thus helping organizations understand and mitigate threats more effectively. The goal is to turn threat intelligence into actionable insights that can be used to improve cybersecurity strategies.

-- Records of crystals from another source follow --
=====
Below is crystalline AcPuCu at its relaxed geometry, with properties calculated at the PBE level.

Properties
The calculation puts the energy of formation from the pure elements at 137 meV per atom. For the electronic total energy, the calculation gives -7.375 eV/atom. For the energy above the most stable polymorph in this dataset, the calculation gives 0.00 eV per formula unit. The calculation puts the total magnetization at 6.2 μB/f.u.

Cell lengths 12.5672, 4.2110, 6.3559 Å; angles 90.00, 91.05, 90.00 degrees
Closest atoms and distances in Å follow each position.
Space group Cm (No. 8)
Unique sites:
Ac: 0.0000 0.0000 0.0000 x2  3 Cu 3.26-3.30, 5 Pu 3.44-3.64
Ac: 0.0885 0.5000 0.4998 x2  3 Cu 3.31-3.42, 1 Pu 3.43
Pu: 0.2276 0.5000 0.0411 x2  2 Cu 2.88, 2 Pu 3.13
Pu: 0.3093 0.0000 0.7179 x2  3 Cu 2.86-3.01, 2 Pu 3.13
Cu: 0.3446 0.0000 0.2507 x2  2 Cu 2.52
Cu: 0.3858 0.5000 0.4556 x2  2 Cu 2.52

~~~~~

La3Pr7Mg | PBE | optimized geometry

a b c (Å): 8.933 7.259 7.259
angles (deg): 120.00 90.00 90.00
Atoms (fractional coordinates):
La1 0.783 0.501 0.499
La2 0.783 0.501 0.001
La3 0.783 0.999 0.499
Pr1 0.122 0.167 0.833
Pr2 0.122 0.167 0.334
Pr3 0.114 0.667 0.333
Pr4 0.447 0.832 0.168
Pr5 0.447 0.337 0.168
Pr6 0.447 0.832 0.663
Pr7 0.122 0.666 0.833
Mg1 0.445 0.333 0.667

formation enthalpy at 0 K	0.153	eV per atom
size of the total moment	0.00	μB per formula unit
relative energy among the computed polymorphs	0.33	eV/f.u.

~~~~~

## MgMn2CrB (PBE)

Data for a geometry-optimized MgMn2CrB structure.

a = 3.914 Å, b = 4.234 Å, c = 3.914 Å
α = 90.00°, β = 90.00°, γ = 90.00°
Each line ends with the local moment (μB).
Element x y z (fractional)
1 Mn 0.000 0.000 0.500  1.57
2 Mn 0.500 0.000 0.000  1.40
3 B 0.000 0.000 0.000  -0.11
4 Cr 0.500 0.500 0.500  2.78
5 Mg 0.000 0.500 0.000  -0.03

Properties
N(E_F), states/eV/f.u.: 6.4
Energy of formation from the pure elements, kJ/mol of atoms: 48.1
Total magnetization, μB per formula unit: 5.9
Volume, Å³ per atom: 12.98

~~~~~

# K2RbYV2O8

A relaxed structure of K2RbYV2O8 (GGA+U, the Alexandria database).

- V: 17.6 Å³/atom
- SG: P-3m1, No. 164
- Spin magnetization: 0.0 μB/f.u.
- Uncorrected energy: -6.92 eV/atom

Cell: 6.0329 6.0329 7.7979 Å, 90.00 90.00 120.00°
Sites, in units of the cell vectors:
O: 0.3333 0.6667 0.0329
O: 0.1748 0.8252 0.3276
O: 0.3497 0.1748 0.6724
O: 0.8252 0.6503 0.6724
O: 0.1748 0.3497 0.3276
O: 0.8252 0.1748 0.6724
O: 0.6503 0.8252 0.3276
O: 0.6667 0.3333 0.9671
V: 0.6667 0.3333 0.7511
V: 0.3333 0.6667 0.2489
K: 0.6667 0.3333 0.3034
K: 0.3333 0.6667 0.6966
Rb: 0.0000 0.0000 0.0000
Y: 0.0000 0.0000 0.5000
=====

He emphasized that while technology plays a role in cybersecurity, the real focus should be on people. Businesses need to prioritize cybersecurity education and training to empower employees to recognize and respond to threats effectively. Additionally, Bryson stressed the importance of collaboration and empathy within the cybersecurity community to support each other in addressing the complex challenges posed by cyber threats.

Overall, Bryson’s insights shed light on the evolving nature of cybersecurity threats and the need for a comprehensive and people-focused approach to cybersecurity defense.


Bryson is the Founder of SCYTHE, a start-up building a next generation threat emulation platform, and GRIMM, a cybersecurity consultancy, and Co-Founder of the ICS Village, a non-profit advancing awareness of industrial control system security.

He is a Senior Fellow at the National Security Institute and an Adjunct Senior Technical Advisor for Institute of Security and Technology. As a U.S. Army Officer, he served as a Battle Captain and Brigade Engineering Officer in support of Operation Iraqi Freedom before leaving the Army as a Captain and later served as an Advisor to the Army Cyber Institute. He was recognized as one of the Top 50 in Cyber by Business Insider, Security Executive Finalist of the Year by SC Media, and a Tech Titan in Washington DC.


